=====
Record 1
Formula: C23H16BrFeN4O5
Source: the OMol25 dataset
Level of theory: ωB97M-V/def2-TZVPD

For the highest occupied orbital energy (spin up / spin down), the calculation gives -13.74 / -13.74 eV. Its multiplicity is 6. For the HOMO-LUMO gap (spin up / spin down), the calculation gives 8.310 / 4.976 eV. The total energy is -5318.50752 Eh. The net charge is +2. The calculation puts the LUMO energy (spin up / spin down) at -5.43 / -8.76 eV. Its relative energy (zero: lowest compared OMol25 entry of this formula, charge and spin) is 0.0 kcal per mole.

XYZ file:
```
50
C23H16BrFeN4O5 (ωB97M-V/def2-TZVPD)
Fe -0.31141 0.86358 0.61269
O -3.09108 3.05993 5.53279
C -2.62289 2.69353 4.34561
C -3.41298 2.59024 3.19602
C -2.82193 2.20141 2.02018
N -1.51144 1.91557 1.92119
C -0.79072 2.02137 3.04609
Br 1.02845 1.53709 2.77773
C -1.25723 2.39670 4.27087
H -4.03434 3.26732 5.50065
H -4.47029 2.81722 3.21987
H -3.40055 2.12431 1.10954
H -0.62596 2.46102 5.14417
N 5.02185 5.07286 -7.75152
C 4.55610 4.48642 -6.88158
C 3.97108 3.75214 -5.78867
C 3.18034 4.41127 -4.85268
C 2.61909 3.70888 -3.80226
C 2.84748 2.34472 -3.69472
C 3.63327 1.67868 -4.62009
C 4.19691 2.38645 -5.66817
N 2.25884 1.60138 -2.60432
C 2.56397 0.30718 -2.23003
C 1.78238 0.01639 -1.16597
N 0.99268 1.12191 -0.87464
C 1.31440 2.04575 -1.76655
H 3.01043 5.47484 -4.94419
H 2.02564 4.24869 -3.07901
H 3.80801 0.61534 -4.55628
H 4.80958 1.87562 -6.39743
H 3.30807 -0.28311 -2.72968
H 1.73226 -0.89328 -0.59276
H 0.87947 3.02775 -1.81835
O -1.22352 -1.01593 2.97305
C -1.22613 -1.52438 1.87186
O -0.92299 -0.94834 0.74824
C -1.52293 -3.01286 1.75688
C -1.78067 -3.60456 0.47171
C -2.09250 -4.92958 0.30955
C -2.12854 -5.67094 1.48701
O -2.39532 -6.94915 1.64221
C -2.30677 -7.25468 3.04332
O -1.97163 -6.01791 3.68987
C -1.86478 -5.08947 2.76208
C -1.56066 -3.74192 2.91934
H -1.72648 -2.95289 -0.38930
H -2.29965 -5.37712 -0.65132
H -1.50768 -7.97471 3.20523
H -3.27470 -7.59982 3.39921
H -1.38451 -3.28492 3.88258
```

Here are the Löwdin charges for atoms 1 to 6, given in e:
1. Fe 0.778
2. O 0.141
3. C -0.275
4. C 0.038
5. C -0.078
6. N -0.087


Record 2
Formula: C5H9FN
Source: the OMol25 dataset
Level of theory: ωB97M-V/def2-TZVPD

For the highest occupied orbital energy, the calculation gives -14.82 eV. Its multiplicity is 1. Its structure (SMILES) is F[C@@H]1C[NH2+]C12CC2. For the HOMO-LUMO gap, the calculation gives 11.396 eV. The total energy is -350.15797 Eh. The net charge is +1. The calculation puts the LUMO energy at -3.42 eV. Its relative energy (zero: lowest compared OMol25 entry of this formula, charge and spin) is 54.1 kcal per mole.

XYZ file:
```
16
C5H9FN (ωB97M-V/def2-TZVPD)
C 0.81934 0.48931 -1.52586
C 1.19752 -0.97492 -1.10210
C -1.15567 0.56845 1.27025
C 0.34960 0.59900 1.47311
C 0.37692 -0.15620 -0.25184
N -1.13376 -0.39373 0.07236
F 0.76587 -0.35712 2.29090
H 1.50908 1.35754 -1.48271
H 0.09811 0.48182 -2.44211
H 0.60174 -1.65800 -1.74806
H 2.19092 -1.43220 -0.77526
H -1.77507 0.14216 1.97678
H -1.61146 1.57953 1.00485
H 0.98861 1.52005 1.65746
H -1.37043 -1.40511 0.28331
H -1.85132 -0.36058 -0.70107
```

Here are the Löwdin charges for atoms 1 to 6, given in e:
1. C -0.042
2. C -0.063
3. C -0.025
4. C -0.134
5. C -0.281
6. N 0.105


Record 3
Formula: C28H50F12O14
Source: the OMol25 dataset
Level of theory: ωB97M-V/def2-TZVPD

For the highest occupied orbital energy, the calculation gives -9.34 eV. Its multiplicity is 1. Its structure (SMILES) is CCOC(=O)C(F)(F)F.CCOC(=O)C(F)(F)F.CCOC(=O)C(F)(F)F.CCOC(=O)C(F)(F)F.COCCOC.COCCOC.COCCOC. For the HOMO-LUMO gap, the calculation gives 9.773 eV. The total energy is -3348.42277 Eh. The calculation puts the LUMO energy at 0.44 eV. Its relative energy (zero: lowest compared OMol25 entry of this formula, charge and spin) is 97.6 kcal per mole.

XYZ file:
```
104
C28H50F12O14 (ωB97M-V/def2-TZVPD)
C -0.01973 -0.34831 2.63744
O -0.43633 -0.00058 3.97946
C 0.35489 -0.43130 5.01120
C -0.17028 0.16369 6.34427
=====

It remains to set down the lines earlier on from the one with "-2.62289 2.69353" to the one with "-0.087" character by character.

C -2.62289 2.69353 4.34561
C -3.41298 2.59024 3.19602
C -2.82193 2.20141 2.02018
N -1.51144 1.91557 1.92119
C -0.79072 2.02137 3.04609
Br 1.02845 1.53709 2.77773
C -1.25723 2.39670 4.27087
H -4.03434 3.26732 5.50065
H -4.47029 2.81722 3.21987
H -3.40055 2.12431 1.10954
H -0.62596 2.46102 5.14417
N 5.02185 5.07286 -7.75152
C 4.55610 4.48642 -6.88158
C 3.97108 3.75214 -5.78867
C 3.18034 4.41127 -4.85268
C 2.61909 3.70888 -3.80226
C 2.84748 2.34472 -3.69472
C 3.63327 1.67868 -4.62009
C 4.19691 2.38645 -5.66817
N 2.25884 1.60138 -2.60432
C 2.56397 0.30718 -2.23003
C 1.78238 0.01639 -1.16597
N 0.99268 1.12191 -0.87464
C 1.31440 2.04575 -1.76655
H 3.01043 5.47484 -4.94419
H 2.02564 4.24869 -3.07901
H 3.80801 0.61534 -4.55628
H 4.80958 1.87562 -6.39743
H 3.30807 -0.28311 -2.72968
H 1.73226 -0.89328 -0.59276
H 0.87947 3.02775 -1.81835
O -1.22352 -1.01593 2.97305
C -1.22613 -1.52438 1.87186
O -0.92299 -0.94834 0.74824
C -1.52293 -3.01286 1.75688
C -1.78067 -3.60456 0.47171
C -2.09250 -4.92958 0.30955
C -2.12854 -5.67094 1.48701
O -2.39532 -6.94915 1.64221
C -2.30677 -7.25468 3.04332
O -1.97163 -6.01791 3.68987
C -1.86478 -5.08947 2.76208
C -1.56066 -3.74192 2.91934
H -1.72648 -2.95289 -0.38930
H -2.29965 -5.37712 -0.65132
H -1.50768 -7.97471 3.20523
H -3.27470 -7.59982 3.39921
H -1.38451 -3.28492 3.88258
```

Here are the Löwdin charges for atoms 1 to 6, given in e:
1. Fe 0.778
2. O 0.141
3. C -0.275
4. C 0.038
5. C -0.078
6. N -0.087